News 30 june 2021

Softinsa / IBM already has more than 300 employees in Viseu

### Attached: materials data
┌──
Compound: TmNbCo2
Source: Alexandria
Functional: PBE
Structure: optimized geometry

Output
symmetry = Fm-3m, No. 225
energy of formation from the pure elements = -0.052 eV per atom
energy above the lowest structure with this stoichiometry = 35 kJ/mol of formula units

Structure (extended XYZ):
```
4
Lattice="-0.910 2.519 -3.598 -4.221 1.266 -0.843 -1.199 4.292 0.512" Properties=species:S:1:pos:R:3 pbc="T T T"
Nb -3.165 4.039 -1.964
Tm 0.000 0.000 0.000
Co -4.748 6.058 -2.947
Co -1.583 2.019 -0.982
```
└──
### Back to the piece

The Technological arrived in the county just over 4 years ago with the support of the Municipality of Viseu. Cluster of information technologies in the city of Viriato creates jobs.

“Viseu has been able to create new clusters in recent years, namely information technologies, capturing more investment and more jobs for our municipality” Conceição Azevedo, Mayor of Viseu, said today during the presentation of results of the Softinsa/ IBM Technological Innovation Center. In just over four years of activity in the region, the company has already surpassed three hundred employees.

Nuno Dionísio, of Softinsa/IBM reiterated that the growth verified would not have been achieved without the support of the Municipality of Viseu and the Polytechnic Institute of Viseu. “I leave a thank you in the way of honoring President António Almeida Henriques who has always believed in this project. Having more than 300 people in Viseu, a total of 1200 employees nationwide, is very significant”, says the responsible.

“At the time, when we agreed to the protocol, the prospect was to reach 120 jobs, a goal far exceeded. The municipality of Viseu immediately understood the relevance of the relevance of this investment to the city. We accompanied Softinsa from the first minute and were at the company´s side in its growth”, recalls João Paulo Gouveia, Vice President of the municipality.

In recent years, the growth of technology in Viseu- which earned 63 million euros in 2020- has been significant. In 2017, the company had 56 staff in the country, but that number more than doubled after just two years, reaching 186 jobs. Softinsa/IBM continued to grow even in the midst of the pandemic, ending 2020 with 280 employees in Viseu. This year, the trend continues, and the Center for Technological Innovation already employs more than 300 people. “The prospect is that we will continue to grow in the region. We have excellent paintings in Viseu and a very high level of service. Unlike other geographies, women already represent about 20% of our employees” adds Francisco Caeiro of Softinsa/IBM.

Job creation is a priority.

João Paulo Gouveia says that this “is a pointed path that only proves that, with the right strategy, the territories of the interior can overcome the asymmetries and be attractive. Viseu is doing it and has been doing it for eight years.” In fact, the cluster of information technologies is one of the most grown in the country, already counting almost 20 technological companies installed. “The focus on these areas, which practically did not exist in Viseu for 7 years, allows us today to have a diversified economic fabric. We didn’t put our eggs in the same basket, so we’re creating jobs and attracting investors and people.”

But it wasn’t just in this sector that Viseu has excelled. Areas such a Health or Energy are good examples of a strategy aimed at attracting investments, creating jobs and driving the economy. “The truth is that in 8 years we have captured more than a hundred business projects and investments in the amount of more than 250 million euros, in which 3500 jobs were created”, says vice-president viseense. He adds: “There are more than 800 engineers who have settled down, worked and live in our city. It is not by chance that, according to the INE between 2017 and 2018, our city recorded an increase of 435€ in declared gross income, rising from 8919€ to 9354€”. A result that puts Viseu above the national average (103.16%)

[Between two parts of the page: data records]
Pm2Ho7Er3 | PBE | optimized geometry

a = 6.299 Å, b = 3.499 Å, c = 17.338 Å
α = 90.00°, β = 96.22°, γ = 90.00°
Positions (direct):
1 Pm 0.060 0.000 0.173
2 Pm 0.940 0.000 0.827
3 Ho 0.000 0.500 0.500
4 Ho 0.228 0.000 0.667
5 Ho 0.256 0.000 0.999
6 Ho 0.275 0.500 0.337
7 Ho 0.725 0.500 0.663
8 Ho 0.744 0.000 0.001
9 Ho 0.772 0.000 0.333
10 Er 0.452 0.500 0.843
11 Er 0.500 0.000 0.500
12 Er 0.548 0.500 0.157

Values from the calculation:
Space group = P2/m, No. 10
DFT formation energy = 0.078 eV/atom

Pm4Ho4Er5 | PBE | optimized geometry

a = 9.414 Å, b = 9.414 Å, c = 9.414 Å
α = 94.07°, β = 94.07°, γ = 149.09°
Positions (direct):
1 Pm 0.078 0.383 0.461
2 Pm 0.383 0.922 0.304
3 Pm 0.617 0.078 0.696
4 Pm 0.922 0.617 0.539
5 Ho 0.153 0.771 0.924
6 Ho 0.229 0.153 0.383
7 Ho 0.771 0.847 0.617
8 Ho 0.847 0.229 0.076
9 Er 0.000 0.000 0.000
10 Er 0.310 0.539 0.849
11 Er 0.461 0.310 0.771
12 Er 0.539 0.690 0.229
13 Er 0.690 0.461 0.151

Values from the calculation:
Space group = I4/m, No. 87
DFT formation energy = 0.020 eV/atom

PmHo4Er6 | PBE | optimized geometry

a = 8.406 Å, b = 8.406 Å, c = 8.406 Å
α = 126.14°, β = 126.14°, γ = 79.66°
Positions (direct):
1 Pm 0.000 0.000 0.000
2 Ho 0.258 0.258 0.669
3 Ho 0.411 0.742 0.000
4 Ho 0.589 0.589 0.331
5 Ho 0.742 0.411 0.000
6 Er 0.000 0.500 0.500
7 Er 0.062 0.567 0.000
8 Er 0.433 0.433 0.495
9 Er 0.500 0.000 0.500
10 Er 0.567 0.062 0.000
11 Er 0.938 0.938 0.505

Values from the calculation:
Space group = I-42m, No. 121
DFT formation energy = 0.457 eV/atom

E / eV/atom: -4.525, -4.605, -4.128

~~~~~

1.
10
Lattice="4.5549 -2.6676 0.0000 4.5549 2.6676 0.0000 -2.0759 0.0000 7.5951" Properties=species:S:1:pos:R:3 comment="PBE-GGA Tb2Ni2Pt, optimized geometry" volume_a3_per_atom=18.46 e_above_lowest_polymorph_mev_per_atom=0 dft_energy_ev_per_atom=-6.08 ef_ev_per_atom=-0.702 magnetic_moment_mub_per_atom=0.000 pbc="T T T"
Tb 1.0475 0.7419 1.1401
Tb 0.0095 -0.7419 4.9377
Tb 7.0243 0.7419 2.6574
Tb 5.9864 -0.7419 6.4550
Ni 2.2890 0.7113 3.8059
Ni 3.3270 -0.7113 0.0084
Ni 3.7069 0.7113 7.5868
Ni 4.7448 -0.7113 3.7892
Pt 4.0359 0.9723 1.8988
Pt 2.9979 -0.9723 5.6963

2.
24
Lattice="11.5168 0.0000 0.0000 0.0000 4.0046 0.0000 0.0000 0.0000 11.4137" Properties=species:S:1:pos:R:3 comment="PBE-GGA Tb3Ni2Pt, optimized geometry" volume_a3_per_atom=21.93 dft_energy_ev_per_atom=-5.86 ef_ev_per_atom=-0.612 magnetic_moment_mub_per_atom=0.000 pbc="T T T"
Tb 0.6409 1.0011 1.3885
Tb 1.4103 3.0034 6.4261
Tb 2.3587 1.0011 9.3132
Tb 3.3997 3.0034 3.6064
Tb 4.3481 1.0011 0.7192
Tb 5.1175 3.0034 7.0954
Tb 6.3993 1.0011 4.3183
Tb 7.1687 3.0034 10.6944
Tb 8.1171 1.0011 7.8073
Tb 9.1581 3.0034 2.1004
Tb 10.1065 1.0011 4.9876
Tb 10.8759 3.0034 10.0251
Ni 0.0819 3.0034 3.4450
Ni 2.0867 3.0034 11.3684
Ni 3.6717 1.0011 5.6615
Ni 5.6766 1.0011 9.1518
Ni 5.8403 3.0034 2.2618
Ni 7.8451 3.0034 5.7521
Ni 9.4301 1.0011 0.0453
Ni 11.4350 1.0011 7.9687
Pt 1.4244 1.0011 4.2727
Pt 4.3340 3.0034 9.9795
Pt 7.1828 1.0011 1.4341
Pt 10.0925 3.0034 7.1409
[Here the page continues]

For Conceição Azevedo, “the quality model based on Education, Culture and Sport, what António Almeida Henriques designated as the virtuous triangle, is the dynamo that has potentiated Viseu as an attractive city for living, working and visiting”, so this is a work that “continues to be done should not be interrupted”. “Today we can say without any doubt that, regarding employment and the economy, Viseu is in fact a beacon in the interior of Portugal. It’s up to us all now… Executive, entrepreneurs and viseense so far, defend everything we have achieved and managed to achieve so far”, he concludes.

Inserted here: crystal structures >
<<<
VASP calculation (PBE) on a geometry-optimized PrPu4As5 structure.

Values from the calculation:
- Energy of formation from the pure elements: -11.09 eV per formula unit
- Final energy: -9.64 eV/atom

```
10
Lattice="4.070 0.000 0.930 1.717 6.760 1.857 0.012 0.010 9.322" Properties=species:S:1:pos:R:3 pbc="T T T"
Pr 0.000 0.000 0.000
Pu 2.787 1.378 6.543
Pu 1.498 2.662 2.813
Pu 4.300 4.107 9.296
Pu 3.011 5.392 5.566
As 2.382 6.104 8.317
As 3.416 0.666 3.792
As 2.155 2.146 9.311
As 0.864 3.385 5.590
As 3.643 4.624 2.798
```

VASP calculation (PBE) on a geometry-optimized InSiSe2 structure.

Values from the calculation:
- Final energy: -3.86 eV/atom

```
4
Lattice="-2.430 -2.892 0.499 1.272 -0.655 2.400 -3.954 4.463 6.615" Properties=species:S:1:pos:R:3 pbc="T T T"
In -3.226 1.410 7.011
Se 0.440 -0.133 1.370
Se -1.780 2.037 3.138
Si -1.885 -0.494 2.503
```

VASP calculation (PBE) on a geometry-optimized InCo4Sb structure.

Values from the calculation:
- Final energy: -5.64 eV/atom

```
6
Lattice="0.000 3.512 3.512 3.512 0.000 3.512 3.512 3.512 0.000" Properties=species:S:1:pos:R:3 pbc="T T T"
In 5.268 5.268 5.268
Co 2.635 4.389 4.389
Co 4.389 4.389 2.635
Co 4.389 2.635 4.389
Co 2.635 2.635 2.635
Sb 0.000 0.000 0.000
```

VASP calculation (PBE) on a geometry-optimized Ti2CrTe4 structure.

Values from the calculation:
- Final energy: -5.98 eV/atom

```
7
Lattice="3.834 0.000 0.000 0.000 6.868 -0.121 -1.917 -3.465 6.474" Properties=species:S:1:pos:R:3 pbc="T T T"
Ti 1.917 3.703 3.117
Ti 0.000 -0.301 3.236
Cr 0.000 0.000 0.000
Te 1.917 -1.122 5.043
>>>

Source: Viseu City Council press release of May 24, 2021